Regional Council policy

The policies of the Regional Council, decided by resolutions passed at Regional Council meetings

Resolution:Mentoring New Reps

The following resolution to the April meeting of the Regional Council was was passed unanimously.

The London Transport Regional Council is to introduce a formal and recognized mentor system for all newly elected reps from 2012 onwards This will enable them to be at their most effective and confident during their first year in office, and onwards into the future.

Oppose The Cuts-carried at Regional Council meeting on May 26th 2011

This Resolution submitted by LU Fleet and amended by Piccadilly and District west was carried at the Regional council meeting on 26th May

Oppose the Cuts.

This Region opposes:

·The vicious attacks by the ConDem government on public services and working class people.

·The idea that public services should be cut in order to bail out the banks.

·Privatization and cuts to public services, whether NHS, education, civil service, transport industry or local authority, and will resist them.

This Region believes:


Resolution: Young Members Advisory Committee – Basis of Representation

This resolution submitted by Neasden branch was carried unanimously by the March metting of the Regional Council:

This Regional Council notes the formation of the Young Members Advisory Committee, as per clause 1 of rule 12D.

This branch also notes the inconsistency of the basis of representation between the Young Members advisory committee (1 per region) and the other equal rights advisory committees, governed by rule 12A (5 Per Region).

Resolution: London Underground "Rainbow" Attendance Process

This resolution submitted by Neasden branch was carried unanimously by the March metting of the Regional Council:

That this LRTC notes with concern LU’s demand that some staff must meet a 96% attendance level.

This 96% attendance level has been explained as a part of a ‘Rainbow’ process and has been used against RMT members to threaten further action up to and including medical termination.

Resolution: Dispute review

This resolution, submitted by Finsbury Park branch, was carried unanimously by the February meeting of the Regional Council:

This branch calls for a delegation from the EC to undertake a thorough review of the recent dispute regarding the job cuts and scrutiny of the decision making process: - who made those decisions and on whose authority including when were decisions made. The results of the review will be made available and if required recommendations made for any future disputes will be sought. This review should take place at the end of the dispute.

Solidarity with the Egyptian revolution

This resolution, submitted by LU Engineering branch and amended by Stratford no.1 branch and LU Engineering branch, was passed unanimously by the February meeting to the Regional Council:

Region notes:

Egyptians have taken to the streets, braving bullets and tanks to fight for change, freedom and social justice.

Crystal structures that have nothing to do with the page:
<<<
(1)
Computed, not measured: an optimized crystal structure of CePrTmTh at the PBE-GGA level of DFT.

Cell lengths 3.5613, 3.5613, 11.7096 Å; angles 90.00, 98.75, 120.00 degrees
Last column: nearest neighbours and their distance in Å.
Fractional positions:
Ce 0.3034 0.5498 0.8687  3 Th 3.45, 3 Tm 3.47, 6 Ce 3.56
Pr 0.9684 0.3821 0.3661  6 Pr 3.56, 3 Th 3.61, 3 Tm 3.63
Tm 0.4758 0.1359 0.6260  3 Ce 3.47, 6 Tm 3.56, 3 Pr 3.63
Th 0.1303 0.9630 0.1088  3 Ce 3.45, 6 Th 3.56, 3 Pr 3.61

Output
For the energy relative to the lowest polymorph listed for this composition, the calculation gives 0.0 meV/atom. The value obtained for the energy relative to the elements is 0.047 eV per atom. The space-group type is R3m. The total moment comes out at 0.02 μB/f.u. The value obtained for the total energy is -5.604 eV/atom.

=====

(2)
Computed, not measured: an optimized crystal structure of CePrTmTh at the PBE-GGA level of DFT.

Cell lengths 5.6701, 5.6701, 5.6701 Å; angles 60.00, 60.00, 60.00 degrees
Last column: nearest neighbours and their distance in Å.
Fractional positions:
Pr 0.2500 0.2500 0.2500  4 Ce 3.47, 4 Tm 3.47
Tm 0.5000 0.5000 0.5000  4 Th 3.47, 4 Pr 3.47
Ce 0.0000 0.0000 0.0000  4 Pr 3.47, 4 Th 3.47
Th 0.7500 0.7500 0.7500  4 Tm 3.47, 4 Ce 3.47

Output
For the energy relative to the lowest polymorph listed for this composition, the calculation gives 171.5 meV/atom. The value obtained for the energy relative to the elements is 0.218 eV per atom. The space-group type is F-43m. The total moment comes out at 1.43 μB/f.u. The value obtained for the total energy is -5.433 eV/atom.

=====

(3)
Computed, not measured: an optimized crystal structure of CePrTi at the PBE-GGA level of DFT.

Cell lengths 3.5830, 3.5830, 12.6449 Å; angles 90.00, 90.00, 90.00 degrees
Last column: nearest neighbours and their distance in Å.
Fractional positions:
Pr 0.0000 0.5000 0.6105  4 Ce 3.52, 8 Pr 3.58-3.77
Pr 0.5000 0.0000 0.3895  4 Ce 3.52, 8 Pr 3.58-3.77
Ce 0.5000 0.0000 0.8034  5 Ti 3.07-3.17
Ce 0.0000 0.5000 0.1966  5 Ti 3.07-3.17
Ti 0.0000 0.5000 0.9539  4 Ti 2.79, 1 Ce 3.07
Ti 0.5000 0.0000 0.0461  4 Ti 2.79, 1 Ce 3.07

Output
The value obtained for the energy relative to the elements is 0.145 eV per atom. The space-group type is P4/nmm. The total moment comes out at 0.00 μB/f.u. The value obtained for the total energy is -6.058 eV/atom.

=====

(4)
Computed, not measured: an optimized crystal structure of CePr2Ti at the PBE-GGA level of DFT.

Cell lengths 3.4407, 3.4407, 11.3448 Å; angles 81.28, 81.28, 60.00 degrees
Last column: nearest neighbours and their distance in Å.
Fractional positions:
Pr 0.2569 0.2569 0.2293  3 Ti 3.24, 6 Pr 3.44, 3 Ce 3.62
Pr 0.7431 0.7431 0.7707  3 Ti 3.24, 6 Pr 3.44, 3 Ce 3.62
Ce 0.5000 0.5000 0.5000  6 Ce 3.44, 6 Pr 3.62
Ti 0.0000 0.0000 0.0000  6 Pr 3.24, 6 Ti 3.44

Output
>>>

Region believes:

That there can be no real change until the rule of dictator Hosni Mubarak is swept away and all his cronies go with him.